# Work order
The reader should print the whole of the rows below exactly.

# Input
- - -
Record 1
Computed, not measured: a relaxed structure of Y5U2O12 at the GGA-PBE level of DFT.

Cell: 6.5936 6.5980 25.7813 Å, 92.98 92.64 99.01°
Space group P1 (No. 1)
One atom of each set of equivalent atoms:
Y1 0.0000 0.0000 0.0000 [1 per cell]
Y2 0.9996 0.2420 0.7052 [1 per cell]
Y3 0.0119 0.7256 0.2705 [1 per cell]
Y4 0.0371 0.4080 0.5742 [1 per cell]
Y5 0.0565 0.1271 0.8450 [1 per cell]
Y6 0.0574 0.8861 0.1358 [1 per cell]
Y7 0.2497 0.4922 0.9552 [1 per cell]
Y8 0.2874 0.6577 0.8244 [1 per cell]
Y9 0.3048 0.1372 0.3863 [1 per cell]
Y10 0.3067 0.3785 0.0949 [1 per cell]
Y11 0.4998 0.5000 0.4999 [1 per cell]
Y12 0.5087 0.7441 0.2062 [1 per cell]
Y13 0.5366 0.9082 0.0744 [1 per cell]
Y14 0.5579 0.3877 0.6357 [1 per cell]
Y15 0.5607 0.6303 0.3441 [1 per cell]
Y16 0.7483 0.9917 0.4555 [1 per cell]
Y17 0.7501 0.7497 0.7500 [1 per cell]
Y18 0.7877 0.1498 0.3243 [1 per cell]
Y19 0.8066 0.8770 0.5952 [1 per cell]
Y20 0.8080 0.6378 0.8857 [1 per cell]
U1 0.0281 0.5624 0.4218 [1 per cell]
U2 0.2533 0.2530 0.2495 [1 per cell]
U3 0.2650 0.9728 0.5210 [1 per cell]
U4 0.2788 0.8128 0.6727 [1 per cell]
U5 0.5155 0.2226 0.7709 [1 per cell]
U6 0.5287 0.0630 0.9227 [1 per cell]
U7 0.7654 0.4734 0.0208 [1 per cell]
U8 0.7820 0.3151 0.1720 [1 per cell]
O1 0.0549 0.3564 0.0262 [1 per cell]
O2 0.0709 0.4508 0.8763 [1 per cell]
O3 0.0801 0.2385 0.1537 [1 per cell]
O4 0.1001 0.0433 0.3141 [1 per cell]
O5 0.1211 0.8915 0.4357 [1 per cell]
O6 0.1426 0.8122 0.5925 [1 per cell]
O7 0.1658 0.5706 0.5009 [1 per cell]
O8 0.1868 0.4858 0.6577 [1 per cell]
O9 0.2177 0.3330 0.7773 [1 per cell]
O10 0.2313 0.1398 0.9411 [1 per cell]
O11 0.2422 0.0354 0.0672 [1 per cell]
O12 0.2417 0.9383 0.2180 [1 per cell]
O13 0.3056 0.5830 0.2743 [1 per cell]
O14 0.3205 0.7022 0.1271 [1 per cell]
O15 0.3217 0.4900 0.4017 [1 per cell]
O16 0.3474 0.2825 0.5646 [1 per cell]
O17 0.3713 0.1416 0.6859 [1 per cell]
O18 0.3926 0.0633 0.8426 [1 per cell]
O19 0.4172 0.8215 0.7517 [1 per cell]
O20 0.4368 0.7356 0.9077 [1 per cell]
O21 0.4669 0.5842 0.0274 [1 per cell]
O22 0.4799 0.3904 0.1908 [1 per cell]
O23 0.4817 0.1783 0.4668 [1 per cell]
O24 0.4929 0.2813 0.3158 [1 per cell]
O25 0.5542 0.8562 0.5263 [1 per cell]
O26 0.5679 0.9504 0.3774 [1 per cell]
O27 0.5724 0.7404 0.6525 [1 per cell]
O28 0.5981 0.5322 0.8145 [1 per cell]
O29 0.6211 0.3922 0.9359 [1 per cell]
O30 0.6418 0.3142 0.0924 [1 per cell]
O31 0.6670 0.0716 0.0018 [1 per cell]
O32 0.6895 0.9888 0.1573 [1 per cell]
O33 0.7038 0.8350 0.2792 [1 per cell]
O34 0.7324 0.6392 0.4415 [1 per cell]
O35 0.7332 0.4280 0.7163 [1 per cell]
O36 0.7422 0.5351 0.5672 [1 per cell]
O37 0.8052 0.1061 0.7760 [1 per cell]
O38 0.8211 0.2010 0.6263 [1 per cell]
O39 0.8224 0.9904 0.9025 [1 per cell]
O40 0.8484 0.7827 0.0646 [1 per cell]
O41 0.8686 0.6437 0.1861 [1 per cell]
O42 0.8946 0.5638 0.3434 [1 per cell]
O43 0.9154 0.3131 0.2507 [1 per cell]
O44 0.9366 0.2350 0.4084 [1 per cell]
O45 0.9676 0.0826 0.5275 [1 per cell]
O46 0.9814 0.8895 0.6910 [1 per cell]
O47 0.9833 0.6783 0.9663 [1 per cell]
O48 0.9927 0.7851 0.8171 [1 per cell]

Calculated values
E_form in eV per atom: -3.91
Total magnetic moment in μB/cell: 0.12
Energy with MP2020 corrections in eV per atom: -9.928
Offset from the most stable computed form in meV per atom: 21

---

Record 2
Computed, not measured: a relaxed structure of Li3Bi3P8O29 at the GGA-PBE level of DFT.

Cell: 17.4607 10.1362 14.3676 Å, 90.00 90.71 90.00°
Space group C2/c (No. 15)
One atom of each set of equivalent atoms:
Li1 0.0000 0.0000 0.0000 [4 per cell]
Li2 0.1169 0.2043 0.0538 [8 per cell]
Bi1 0.0000 0.4389 0.7500 [4 per cell]
Bi2 0.2179 0.2172 0.2597 [8 per cell]
P1 0.0385 0.2585 0.3470 [8 per cell]
P2 0.1130 0.1967 0.8446 [8 per cell]
P3 0.1455 0.0666 0.6563 [8 per cell]
P4 0.1658 0.4953 0.1232 [8 per cell]
O1 0.0000 0.2124 0.2500 [4 per cell]
O2 0.0086 0.2027 0.0764 [8 per cell]
O3 0.0400 0.2849 0.8412 [8 per cell]
O4 0.0467 0.4114 0.3445 [8 per cell]
O5 0.0886 0.0934 0.5806 [8 per cell]
- - -

# Completed
Record 1
Computed, not measured: a relaxed structure of Y5U2O12 at the GGA-PBE level of DFT.

Cell: 6.5936 6.5980 25.7813 Å, 92.98 92.64 99.01°
Space group P1 (No. 1)
One atom of each set of equivalent atoms:
Y1 0.0000 0.0000 0.0000 [1 per cell]
Y2 0.9996 0.2420 0.7052 [1 per cell]
Y3 0.0119 0.7256 0.2705 [1 per cell]
Y4 0.0371 0.4080 0.5742 [1 per cell]
Y5 0.0565 0.1271 0.8450 [1 per cell]
Y6 0.0574 0.8861 0.1358 [1 per cell]
Y7 0.2497 0.4922 0.9552 [1 per cell]
Y8 0.2874 0.6577 0.8244 [1 per cell]
Y9 0.3048 0.1372 0.3863 [1 per cell]
Y10 0.3067 0.3785 0.0949 [1 per cell]
Y11 0.4998 0.5000 0.4999 [1 per cell]
Y12 0.5087 0.7441 0.2062 [1 per cell]
Y13 0.5366 0.9082 0.0744 [1 per cell]
Y14 0.5579 0.3877 0.6357 [1 per cell]
Y15 0.5607 0.6303 0.3441 [1 per cell]
Y16 0.7483 0.9917 0.4555 [1 per cell]
Y17 0.7501 0.7497 0.7500 [1 per cell]
Y18 0.7877 0.1498 0.3243 [1 per cell]
Y19 0.8066 0.8770 0.5952 [1 per cell]
Y20 0.8080 0.6378 0.8857 [1 per cell]
U1 0.0281 0.5624 0.4218 [1 per cell]
U2 0.2533 0.2530 0.2495 [1 per cell]
U3 0.2650 0.9728 0.5210 [1 per cell]
U4 0.2788 0.8128 0.6727 [1 per cell]
U5 0.5155 0.2226 0.7709 [1 per cell]
U6 0.5287 0.0630 0.9227 [1 per cell]
U7 0.7654 0.4734 0.0208 [1 per cell]
U8 0.7820 0.3151 0.1720 [1 per cell]
O1 0.0549 0.3564 0.0262 [1 per cell]
O2 0.0709 0.4508 0.8763 [1 per cell]
O3 0.0801 0.2385 0.1537 [1 per cell]
O4 0.1001 0.0433 0.3141 [1 per cell]
O5 0.1211 0.8915 0.4357 [1 per cell]
O6 0.1426 0.8122 0.5925 [1 per cell]
O7 0.1658 0.5706 0.5009 [1 per cell]
O8 0.1868 0.4858 0.6577 [1 per cell]
O9 0.2177 0.3330 0.7773 [1 per cell]
O10 0.2313 0.1398 0.9411 [1 per cell]
O11 0.2422 0.0354 0.0672 [1 per cell]
O12 0.2417 0.9383 0.2180 [1 per cell]
O13 0.3056 0.5830 0.2743 [1 per cell]
O14 0.3205 0.7022 0.1271 [1 per cell]
O15 0.3217 0.4900 0.4017 [1 per cell]
O16 0.3474 0.2825 0.5646 [1 per cell]
O17 0.3713 0.1416 0.6859 [1 per cell]
O18 0.3926 0.0633 0.8426 [1 per cell]
O19 0.4172 0.8215 0.7517 [1 per cell]
O20 0.4368 0.7356 0.9077 [1 per cell]
O21 0.4669 0.5842 0.0274 [1 per cell]
O22 0.4799 0.3904 0.1908 [1 per cell]
O23 0.4817 0.1783 0.4668 [1 per cell]
O24 0.4929 0.2813 0.3158 [1 per cell]
O25 0.5542 0.8562 0.5263 [1 per cell]
O26 0.5679 0.9504 0.3774 [1 per cell]
O27 0.5724 0.7404 0.6525 [1 per cell]
O28 0.5981 0.5322 0.8145 [1 per cell]
O29 0.6211 0.3922 0.9359 [1 per cell]
O30 0.6418 0.3142 0.0924 [1 per cell]
O31 0.6670 0.0716 0.0018 [1 per cell]
O32 0.6895 0.9888 0.1573 [1 per cell]
O33 0.7038 0.8350 0.2792 [1 per cell]
O34 0.7324 0.6392 0.4415 [1 per cell]
O35 0.7332 0.4280 0.7163 [1 per cell]
O36 0.7422 0.5351 0.5672 [1 per cell]
O37 0.8052 0.1061 0.7760 [1 per cell]
O38 0.8211 0.2010 0.6263 [1 per cell]
O39 0.8224 0.9904 0.9025 [1 per cell]
O40 0.8484 0.7827 0.0646 [1 per cell]
O41 0.8686 0.6437 0.1861 [1 per cell]
O42 0.8946 0.5638 0.3434 [1 per cell]
O43 0.9154 0.3131 0.2507 [1 per cell]
O44 0.9366 0.2350 0.4084 [1 per cell]
O45 0.9676 0.0826 0.5275 [1 per cell]
O46 0.9814 0.8895 0.6910 [1 per cell]
O47 0.9833 0.6783 0.9663 [1 per cell]
O48 0.9927 0.7851 0.8171 [1 per cell]

Calculated values
E_form in eV per atom: -3.91
Total magnetic moment in μB/cell: 0.12
Energy with MP2020 corrections in eV per atom: -9.928
Offset from the most stable computed form in meV per atom: 21

---

Record 2
Computed, not measured: a relaxed structure of Li3Bi3P8O29 at the GGA-PBE level of DFT.

Cell: 17.4607 10.1362 14.3676 Å, 90.00 90.71 90.00°
Space group C2/c (No. 15)
One atom of each set of equivalent atoms:
Li1 0.0000 0.0000 0.0000 [4 per cell]
Li2 0.1169 0.2043 0.0538 [8 per cell]
Bi1 0.0000 0.4389 0.7500 [4 per cell]
Bi2 0.2179 0.2172 0.2597 [8 per cell]
P1 0.0385 0.2585 0.3470 [8 per cell]
P2 0.1130 0.1967 0.8446 [8 per cell]
P3 0.1455 0.0666 0.6563 [8 per cell]
P4 0.1658 0.4953 0.1232 [8 per cell]
O1 0.0000 0.2124 0.2500 [4 per cell]
O2 0.0086 0.2027 0.0764 [8 per cell]
O3 0.0400 0.2849 0.8412 [8 per cell]
O4 0.0467 0.4114 0.3445 [8 per cell]
O5 0.0886 0.0934 0.5806 [8 per cell]